**Assignment**
The reader should reproduce everything further down character by character.

**Excerpt**
Entry from the OMol25 dataset: a structure of composition C10H21F5IIrOP2 in a non-equilibrium geometry (the ωB97M-V functional and the def2-TZVPD basis).

Last column: Löwdin charge in e.
CARTESIAN COORDINATES (ANGSTROEM)
F -3.16 -0.82 1.93  0.106
C 2.02 1.20 -2.63  -0.591
H 0.71 -3.90 -2.80  0.059
Ir -0.67 -1.09 -0.16  0.958
F -3.31 -1.73 3.93  0.182
C -1.87 -1.09 -3.20  -0.255
C 1.36 1.58 3.27  -0.157
H 2.72 0.34 -2.72  0.045
O 0.15 -1.32 2.80  0.065
H 0.78 -2.48 -3.84  0.037
C 0.41 0.20 0.82  -0.458
H -1.43 -4.04 -0.74  0.055
H 1.01 0.77 -2.39  0.012
H -0.55 -3.66 -4.04  0.075
H 1.53 0.55 3.60  0.065
F -0.07 4.32 3.12  -0.092
C 3.20 1.59 1.09  -0.153
P -0.92 -2.15 -2.06  0.552
H -2.49 -4.04 -2.21  0.076
F -4.69 -0.12 3.36  0.181
H -2.76 -2.89 -0.83  0.036
H 0.32 1.84 3.48  0.062
I 2.10 1.92 -4.52  1.421
H 2.34 1.89 -1.82  0.014
H 1.73 4.04 1.10  0.100
C 0.07 -0.85 1.69  -0.581
P 1.39 1.65 1.43  0.846
H -2.65 -0.59 -2.63  0.042
C 0.08 -3.13 -3.29  -0.237
F -2.58 0.32 3.74  0.179
H -1.17 -0.33 -3.55  0.018
C -2.02 -3.43 -1.43  -0.279
H 0.32 3.33 0.19  0.061
C -3.43 -0.58 3.24  -0.664
H 3.32 1.35 0.03  0.019
H 2.01 2.28 3.81  0.091
H 3.63 2.58 1.28  0.071
H 0.21 3.95 2.21  -0.003
H -2.30 -1.63 -4.04  0.064
H 3.76 0.86 1.69  0.082
C 0.91 3.30 1.09  -0.104

The net charge is +2. The molar mass comes out at 633.34 g mol⁻¹. The value obtained for the HOMO energy (alpha / beta) is -13.9 / -14.7 eV. For the energy above the lowest of the compared OMol25 structures with the same formula, charge and spin, the calculation gives 0.0 kJ/mol. Its spin multiplicity is 5. The value obtained for the gap between HOMO and LUMO (alpha / beta) is 0.24599 / 0.09773 Eh.

**Outcome**
Entry from the OMol25 dataset: a structure of composition C10H21F5IIrOP2 in a non-equilibrium geometry (the ωB97M-V functional and the def2-TZVPD basis).

Last column: Löwdin charge in e.
CARTESIAN COORDINATES (ANGSTROEM)
F -3.16 -0.82 1.93  0.106
C 2.02 1.20 -2.63  -0.591
H 0.71 -3.90 -2.80  0.059
Ir -0.67 -1.09 -0.16  0.958
F -3.31 -1.73 3.93  0.182
C -1.87 -1.09 -3.20  -0.255
C 1.36 1.58 3.27  -0.157
H 2.72 0.34 -2.72  0.045
O 0.15 -1.32 2.80  0.065
H 0.78 -2.48 -3.84  0.037
C 0.41 0.20 0.82  -0.458
H -1.43 -4.04 -0.74  0.055
H 1.01 0.77 -2.39  0.012
H -0.55 -3.66 -4.04  0.075
H 1.53 0.55 3.60  0.065
F -0.07 4.32 3.12  -0.092
C 3.20 1.59 1.09  -0.153
P -0.92 -2.15 -2.06  0.552
H -2.49 -4.04 -2.21  0.076
F -4.69 -0.12 3.36  0.181
H -2.76 -2.89 -0.83  0.036
H 0.32 1.84 3.48  0.062
I 2.10 1.92 -4.52  1.421
H 2.34 1.89 -1.82  0.014
H 1.73 4.04 1.10  0.100
C 0.07 -0.85 1.69  -0.581
P 1.39 1.65 1.43  0.846
H -2.65 -0.59 -2.63  0.042
C 0.08 -3.13 -3.29  -0.237
F -2.58 0.32 3.74  0.179
H -1.17 -0.33 -3.55  0.018
C -2.02 -3.43 -1.43  -0.279
H 0.32 3.33 0.19  0.061
C -3.43 -0.58 3.24  -0.664
H 3.32 1.35 0.03  0.019
H 2.01 2.28 3.81  0.091
H 3.63 2.58 1.28  0.071
H 0.21 3.95 2.21  -0.003
H -2.30 -1.63 -4.04  0.064
H 3.76 0.86 1.69  0.082
C 0.91 3.30 1.09  -0.104

The net charge is +2. The molar mass comes out at 633.34 g mol⁻¹. The value obtained for the HOMO energy (alpha / beta) is -13.9 / -14.7 eV. For the energy above the lowest of the compared OMol25 structures with the same formula, charge and spin, the calculation gives 0.0 kJ/mol. Its spin multiplicity is 5. The value obtained for the gap between HOMO and LUMO (alpha / beta) is 0.24599 / 0.09773 Eh.